**Source:**
=====
Entry 1:
Density functional theory data (the ωB97M-V functional and the def2-TZVPD basis) for a structure of composition C4H6ORu at a distorted geometry.

Values from the calculation:
Calculated total energy ... -8860.9094 eV
LUMO (spin up / spin down) ... -0.1403 / -0.2779 Ha
Gap between HOMO and LUMO (spin up / spin down) ... 10.041 / 6.223 eV

Structure (ORCA input):
```
! wB97M-V def2-TZVPD RIJCOSX def2/J DEFGRID3
* xyz 1 6
O 0.905 0.015 -2.080
C -0.743 -0.673 1.135
C 0.155 -0.414 2.109
H -1.766 -0.820 1.519
H 1.234 -0.393 1.908
H -0.129 -0.262 3.160
Ru -0.313 -0.529 -0.847
C 1.867 0.934 -2.153
C 1.763 2.226 -1.783
H 2.764 0.610 -2.705
H 0.896 2.586 -1.221
H 2.529 2.939 -2.088
*
```

Entry 2:
Density functional theory data (the ωB97M-V functional and the def2-TZVPD basis) for a cluster of 2 separate species, CH5N2 in total at a distorted geometry.

Values from the calculation:
Calculated total energy ... -4085.4594 eV
LUMO (spin up / spin down) ... -0.2586 / -0.2172 Ha
Relative energy (zero: lowest compared OMol25 entry of this formula, charge and spin) ... 629.9 kJ/mol
Gap between HOMO and LUMO (spin up / spin down) ... 8.497 / 9.188 eV

Structure (ORCA input):
```
! wB97M-V def2-TZVPD RIJCOSX def2/J DEFGRID3
* xyz 1 1
C 0.695 -0.010 -0.528
N 1.607 0.108 0.284
N -2.144 0.282 0.340
H 0.498 -0.215 -1.511
H 2.599 0.027 0.051
H 1.218 0.198 1.311
H -2.178 -0.655 0.751
H -2.296 0.264 -0.698
*
```

Entry 3:
Density functional theory data (the ωB97M-V functional and the def2-TZVPD basis) for an isolated molecule of C28H42BrN3O4 at a distorted geometry.

Values from the calculation:
Calculated total energy ... -112421.5896 eV
LUMO ... 0.0169 Ha
Relative energy (zero: lowest compared OMol25 entry of this formula, charge and spin) ... 18.6 kJ/mol
Gap between HOMO and LUMO ... 9.094 eV
SMILES string ... CCCCCCCNC(=O)C1(C[C@H]2CC(c3cccc(Br)c3)=NO2)CCN(C(=O)OC(C)(C)C)CC1

Structure (ORCA input):
```
! wB97M-V def2-TZVPD RIJCOSX def2/J DEFGRID3
* xyz 0 1
C -5.086 -2.130 -2.976
C -5.565 -3.367 -2.225
C -4.590 -4.543 -2.305
C -3.188 -4.252 -1.765
C -3.194 -3.837 -0.296
C -1.796 -3.710 0.308
C -0.960 -2.641 -0.388
N 0.205 -2.290 0.401
C 0.663 -1.031 0.469
O 0.145 -0.119 -0.152
C 1.909 -0.812 1.351
C 1.554 -0.823 2.862
C 0.136 -0.453 3.319
C -0.569 0.735 2.650
C -1.777 0.042 2.064
C -2.777 0.666 1.223
C -3.898 -0.062 0.817
C -4.836 0.504 -0.022
C -4.682 1.808 -0.468
C -3.575 2.527 -0.051
Br -3.360 4.327 -0.641
C -2.622 1.979 0.786
N -1.819 -1.200 2.350
O -0.745 -1.578 3.090
C 2.563 0.529 0.961
C 3.100 0.503 -0.472
N 4.025 -0.591 -0.650
C 5.370 -0.457 -0.761
O 6.127 -1.404 -0.771
O 5.727 0.834 -0.887
C 7.113 1.191 -1.101
C 7.965 0.758 0.092
C 7.085 2.716 -1.213
C 7.630 0.570 -2.398
C 3.461 -1.883 -0.344
C 2.965 -1.907 1.102
H -4.214 -1.691 -2.498
H -4.827 -2.385 -4.002
H -5.871 -1.377 -3.002
H -6.519 -3.691 -2.649
H -5.747 -3.111 -1.179
H -5.015 -5.383 -1.751
H -4.499 -4.851 -3.350
H -2.583 -5.155 -1.879
H -2.727 -3.469 -2.367
H -3.755 -4.577 0.279
H -3.700 -2.878 -0.193
H -1.898 -3.434 1.358
H -1.279 -4.672 0.251
H -1.542 -1.726 -0.526
H -0.627 -2.990 -1.373
H 0.570 -3.003 1.009
H 2.248 -0.156 3.379
H 1.721 -1.830 3.253
H 0.176 -0.324 4.409
H -0.867 1.498 3.370
H 0.025 1.197 1.866
H -4.009 -1.072 1.179
H -5.696 -0.066 -0.339
H -5.409 2.258 -1.126
H -1.765 2.563 1.080
H 1.848 1.346 1.036
H 3.390 0.730 1.646
H 3.608 1.439 -0.699
H 2.266 0.373 -1.169
H 7.966 -0.325 0.176
H 7.565 1.184 1.011
H 8.985 1.105 -0.042
H 8.090 3.095 -1.377
H 6.452 3.018 -2.044
H 6.686 3.151 -0.300
H 7.638 -0.513 -2.317
H 6.989 0.856 -3.230
H 8.640 0.919 -2.594
H 4.241 -2.632 -0.495
H 2.633 -2.078 -1.034
H 2.581 -2.900 1.339
H 3.816 -1.718 1.762
*
```

Entry 4:
Density functional theory data (the ωB97M-V functional and the def2-TZVPD basis) for a cluster of 11 separate species, C32H93N15O11 in total at a distorted geometry.

Values from the calculation:
Calculated total energy ... -79564.1570 eV
LUMO ... 0.0086 Ha
=====

**Work order:**
Now filter the contents above: keep the lines with the word "Ru".

**Here it is:**
Ru -0.313 -0.529 -0.847